I am in the right place at the right time

Targeted workshops in Year 1/2

At LNPS we are committed to ensuring that we amplify growth by applying common, research-based practices, key concepts and language so that we have continuity.  This is evident across the Year 1/2 classes as students take part in various workshops to meet their individual learning needs.  To ensure each child is 'in the right place at the right time', teachers firstly carry out a number of assessment tasks and observations and  then collaborate together to deliver quality programs designed for growth. 

**Misplaced data records:**
'''
No. 1
{"formula": "C4H9CoFO2", "method": "ωB97M-V with the def2-TZVPD basis set", "species": ["F", "C", "O", "C", "C", "O", "H", "H", "H", "H", "H", "H", "Co", "C", "H", "H", "H"], "positions_angstrom": [[2.50023, 0.66220, -0.10901], [-0.56032, 2.41414, 0.47218], [-1.87900, 1.80070, 0.58056], [-2.26981, 1.01602, -0.52073], [-1.77913, -0.43540, -0.49739], [-0.40654, -0.60701, -0.67802], [-0.34747, 2.79923, 1.48477], [-0.66566, 3.32034, -0.16248], [-1.94503, 1.49952, -1.46460], [-3.37239, 0.99860, -0.52687], [-2.34298, -0.96372, -1.29509], [-2.12063, -0.88042, 0.46169], [0.61043, 0.85474, -0.20889], [3.04616, -0.71531, -0.02942], [4.00572, -0.64543, -0.54699], [3.21967, -0.91109, 1.03434], [2.37534, -1.51740, -0.34407]], "nbo_charge": [-0.429, -0.453, -0.424, -0.122, -0.127, -0.720, 0.227, 0.223, 0.182, 0.238, 0.215, 0.211, 1.474, -0.152, 0.226, 0.209, 0.221], "charge": 1, "orbital_gap_ha": [0.373, 0.294], "spin_multiplicity": 5, "relative_energy_kcal_mol": 0.0, "lumo_ev": [-3.536, -6.571], "s_squared": 6.015}


No. 2
'''

Word study workshops

During 2018, Word Study workshops will be held on Monday to Wednesday from 9:20 am- 9:50 am.  Word study workshops involve an inquiry into sounds, words and meanings which incorporates  applying critical thinking skills.  Word study teaches students how to look at and analyse words so that they can construct an ever deepening understanding of how spelling works to represent sound and meaning, compared to simply learning a word list.  Ask your child to share with you the spelling pattern they are inquiring into and give him/her the opportunity to demonstrate this learning when reading aloud and/or writing.  Celebrate successes and growth together. 

Writers' Workshops

We believe that each child is a competent learner and is capable of growing as a writer.  Book making continues to be a strong feature of the Year 1/2 English programme and this year we are introducing Writers' Workshops across the 5 classes. The focus is on honouring approximations and nudging development when composing texts.  Mentor texts are used as an example of good writing for writers.  By looking at examples of good writing, especially when that writing is published work by professional writers, students learn to aspire to create effective pieces of their own.  Writers' Workshops will begin soon on Thursday (9:20 am-9:50 am) and Friday (10:10 am - 10:40 am.)

International expert Matt Glover will be returning to Adelaide this year and staff will have the opportunity to enrich their learning by attending this valuable professional development and applying his/her understanding within the workshops.  As Matt says ..."Young children are capable of incredible thinking, which can be seen in their writing when they see themselves as writers and when adults honour children's approximations of writing." 

Embrace the authors of Year 1/2 and celebrate our success. 


My Maths workshop

**Unrelated to this piece: records of molecules**
<<<
Molecular formula: C39H78N4O4PS
Method: DFT, the ωB97M-V functional and the def2-TZVPD basis

Its gap between HOMO and LUMO is 5.769 eV. Its total charge is +1. The energy relative to the best compared isomer or geometry (same formula, charge and spin) is 0.00 kcal/mol. Its energy is -75975.252 eV. The spin multiplicity is 1.

Last column: Löwdin charge in e.
Positions of all 127 atoms, in Å:
C 1.000 -4.570 -1.898  -0.1048
C 0.456 -3.488 -2.820  -0.2471
C 1.569 -2.552 -3.344  -0.1891
C 1.260 -1.072 -3.018  -0.1821
C 0.452 -0.366 -4.124  -0.1724
C -0.939 0.184 -3.705  -0.1211
C -0.973 0.863 -2.378  -0.1682
C -1.564 0.229 -1.265  -0.0595
C -2.185 -1.124 -1.396  -0.1127
C -3.696 -1.187 -1.048  -0.1680
C -4.538 -1.588 -2.258  -0.1882
C -6.020 -1.439 -1.917  -0.1555
C -6.930 -1.245 -3.144  -0.2273
O -6.196 -0.976 -4.324  -0.2096
C -6.866 -1.507 -5.463  -0.0918
C -1.508 0.902 -0.066  -0.0550
C -2.042 0.281 1.188  -0.0930
C -1.184 -0.941 1.630  -0.2123
C -2.040 -2.113 2.170  -0.5342
S -1.493 -2.663 3.813  0.7362
C -0.924 2.170 -0.001  -0.1730
C -0.808 2.979 1.243  -0.0017
C 0.106 2.351 2.266  -0.4549
O 1.248 2.022 2.036  0.1503
O -0.482 2.193 3.480  0.0762
C 0.441 1.955 4.549  -0.4104
C 0.417 0.592 5.134  0.0299
O 1.138 2.870 4.948  0.1619
N -0.419 2.737 -1.058  0.1517
N -0.441 2.060 -2.184  -0.1461
P 0.356 2.907 -3.595  1.1019
C -1.011 3.565 -4.660  -0.3658
C -2.454 3.453 -4.105  -0.1206
C 1.082 4.404 -2.834  -0.4206
C 2.331 4.107 -2.014  -0.1551
H 1.585 -4.162 -1.082  0.0733
H 0.168 -5.129 -1.478  0.0607
H 1.614 -5.274 -2.449  0.0781
H -0.062 -3.931 -3.666  0.1089
H -0.260 -2.898 -2.260  0.0670
H 2.506 -2.766 -2.842  0.1041
H 1.729 -2.658 -4.410  0.1072
H 2.224 -0.571 -2.970  0.1082
H 0.815 -0.998 -2.029  0.0992
H 0.270 -1.054 -4.942  0.1145
H 1.031 0.443 -4.541  0.0581
H -1.647 -0.626 -3.733  0.1028
H -1.259 0.883 -4.473  0.0992
H -1.670 -1.763 -0.688  0.1008
H -2.033 -1.579 -2.359  0.0892
H -4.050 -0.210 -0.740  0.1073
H -3.845 -1.874 -0.222  0.1125
H -4.248 -0.944 -3.078  0.1089
H -4.376 -2.634 -2.494  0.1264
H -6.370 -2.319 -1.391  0.1142
H -6.166 -0.603 -1.240  0.1051
H -7.608 -0.408 -2.966  0.1221
H -7.570 -2.116 -3.255  0.1139
H -7.932 -1.308 -5.401  0.0866
H -6.688 -2.580 -5.503  0.0913
H -6.488 -1.037 -6.362  0.0852
H -3.074 0.002 1.081  0.1056
H -2.019 0.968 2.022  0.1073
H -0.509 -1.253 0.842  0.1083
H -0.562 -0.612 2.450  0.0611
H -1.990 -2.968 1.508  0.0584
H -3.062 -1.774 2.256  0.0661
H -0.166 -2.756 3.633  -0.1195
H -0.338 3.920 0.983  0.1437
H -1.773 3.185 1.695  0.1415
H 0.571 -0.169 4.378  0.0670
H 1.158 0.488 5.910  0.0992
H -0.561 0.404 5.571  0.1003
H -0.964 2.979 -5.571  0.0603
H -0.742 4.575 -4.947  0.0743
H -2.948 4.410 -4.218  0.0732
H -3.014 2.760 -4.718  0.0691
H -2.506 3.146 -3.069  0.0486
H 0.339 4.825 -2.155  0.0716
H 1.237 5.160 -3.594  0.0856
H 2.167 3.419 -1.195  0.0555
H 3.138 3.797 -2.670  0.0707
H 2.644 5.047 -1.568  0.0698
C 4.401 5.272 1.665  -0.0904
C 5.409 5.902 0.716  -0.2801
N 5.116 7.283 0.387  -0.2031
>>>

My Maths workshops (previously, fondly known as Secret Code Club) will take place on Mondays and Wednesday from 11:10 am- 11:30 am.  During this time students will engage in a problematised Maths situation using the STAR model, which will provide formative assessment for students and teachers to identify goals for Maths learning and support the development of efficient strategies for successful problem solving.